The Disease of Addiction
(Addiction and Recovery Phase)
Effects of Addiction
On your Body
Effects of Addiction
on your Thinking
Effects of Addiction
on your life
Recovery &
Lifelong Recovery

Takes Responsibility for Past Behavior is an example from this phase of addiction or recovery on the curve.

What is the Early phase of Recovery? 


This is sometimes referred to as the "pleasure pathway" in the brain.  

What is another name for the limbic system? 


In this way of thinking, we refuse to accept the truth about our addiction. Oddly enough, we can often see in others what we cant see in ourselves. 

What is Denial? 


Loss of job or bad credit are examples of how addiction may have affected you ________________. 

What is financially? 


In this stage of change, we are taking action to change. 

What is the action stage of change? 


rationalizes substance use is an example from this phase of addiction or recovery on the curve. 

What is the middle phase of addiction? 


This neurotransmitter is affected by drugs, affects the brains ability to feel pleasure, and is involved in the development of tolerance. 

What is dopamine?


In this way of thinking, many of our thoughts become centered around whether or not we're feeling good. As the addiction cycle continues, our obsession with feelings good takes over and we turn inward and don't think about the needs of others. 

What is Self-Obsession? 


Hopelessness and Despair, or low self esteem may be ____________ consequences of addiction. 

Emotional (Accept Emotional Problems)


List any two of the ten Guiding Principles of Recovery listed in this book. 

Recovery 1)emerges from hope, 2)is person driven, 3)Occurs via many pathways 4)is holistic 5) is supported by peers and allies 6)is supported through relationships and social networks 7)is culturally based and influenced 8)is supported by addressing trauma 9)involves individual, family, and community strengths and responsibility 10)is based on respect. 


Routinely challenges distorted thinking is an example from this phase of addiction or recovery on the curve. 

What is the middle phase of recovery? 


These are the three pasts of the cycle of addiction. 

(Hint: Not the Relapse Cycle!)

What are 1)binge intoxication, 2)withdrawal/negative affect and 3)preoccupation/anticipation?


Daily Double!!

In this way of thinking, Our thinking doesn't make sense, even when we try to convince ourselves otherwise. 

Daily Double!!

What is irrational thinking? 


Sensing your life has no meaning or purpose, and violating your morals and values are listed as _________ consequences of addiction. 

Spiritual (also accept spiritual life)


Being ______ with ourselves and others can help us change our addiction. 

What is Honest? 


Runs out of Excuses for substance use is an example  from this phase of addiction or recovery on the curve. 

What is the late phase of addiction? 


These are four of the six symptoms of post acute withdrawal? 

What are 1)Difficulty Thinking Clearly, 2)Difficulty managing emotions, 3)Difficulty remembering things, 4)Difficulty Sleeping, 5)Problems with physical coordination, and 6) Stress Sensitivity. 


In this thinking pattern, we think we're very different or special, and that the destructive nature of addiction doesn't apply to us. We want to make our addiction seem attractive and exciting, and take pride in our drug history. 

What is "unique person stance"?


Who is affected by the consequences of my addictions? 

My Community -(Myself, My Family, My Friends, any peers, any victims, the community, taxpayers, Joe down the street.)

(Accept any answer except just me)


Define Sobriety and Recovery. 

What is 

Sobriety- simply quitting the use of alcohol and other drugs

Recovery - is about becoming physically, mentally, and spiritually healthy. It involves rebuilding trust with family and friends, and forming new, healthy daily habits. 


Sees Greater possibilities for a life is sobriety is an example  from this phase of addiction or recovery on the curve. 

Misplaced quantum chemistry results:
+++
{
  "formula": "C18H15BrCl3GeMnSe3SiTe",
  "method": "wB97M-V/def2-TZVPD",
  "species": ["Mn", "Se", "Se", "Te", "Se", "Br", "Cl", "Si", "Cl", "Cl", "C", "C", "C", "C", "C", "C", "Ge", "C", "C", "C", "C", "C", "C", "C", "C", "C", "C", "C", "C", "H", "H", "H", "H", "H", "H", "H", "H", "H", "H", "H", "H", "H", "H", "H"],
  "positions_angstrom": [[1.825, -2.403, -0.048], [1.767, -2.449, 2.277], [3.020, -0.772, 3.189], [5.269, -1.240, 2.016], [4.214, -1.853, -0.173], [1.996, -2.546, -2.415], [0.610, -6.349, -0.699], [0.406, -4.349, 0.017], [-1.346, -3.799, -1.086], [-0.558, -4.835, 1.876], [-0.843, 1.580, -4.357], [-0.230, 2.357, -3.385], [0.161, 1.790, -2.178], [-0.053, 0.439, -1.916], [-0.646, -0.335, -2.916], [-1.047, 0.227, -4.120], [0.406, -0.435, -0.175], [1.127, 1.151, 0.809], [0.414, 1.891, 1.749], [0.993, 2.977, 2.395], [2.299, 3.347, 2.106], [3.026, 2.622, 1.171], [2.442, 1.535, 0.538], [-1.430, -0.583, 0.632], [-2.600, -0.322, -0.083], [-3.851, -0.420, 0.512], [-3.966, -0.786, 1.845], [-2.817, -1.056, 2.574], [-1.571, -0.956, 1.970], [-1.150, 2.020, -5.300], [-0.058, 3.413, -3.569], [0.633, 2.409, -1.423], [-0.787, -1.398, -2.748], [-1.513, -0.394, -4.878], [-0.608, 1.612, 1.982], [0.424, 3.534, 3.132], [2.752, 4.193, 2.612], [4.054, 2.887, 0.955], [3.027, 0.953, -0.168], [-2.529, -0.036, -1.124], [-4.742, -0.214, -0.072], [-4.942, -0.864, 2.310], [-2.891, -1.358, 3.612], [-0.688, -1.183, 2.555]],
  "atomic_forces_ev_per_a": [[0.9, 0.2, -0.7], [-0.4, -0.6, 1.1], [0.5, 0.5, 0.0], [-0.3, -0.1, 0.2], [1.0, 0.3, -0.2], [-0.1, -0.2, -0.6], [0.3, 0.1, -0.1], [-1.3, -1.1, 0.2], [0.1, 0.0, 0.0], [0.0, 0.0, 0.0], [0.0, 0.0, 0.0], [0.0, 0.1, -0.1], [0.0, 0.0, 0.1], [0.1, -0.3, 0.0], [0.0, 0.0, 0.0], [0.0, 0.0, 0.0], [-1.0, 1.4, 0.3], [0.1, -0.2, -0.1], [0.0, -0.1, -0.1], [0.0, 0.1, 0.0], [0.0, 0.0, 0.0], [0.0, 0.0, 0.0], [0.0, 0.0, -0.1], [0.1, -0.1, -0.1], [0.1, 0.0, 0.0], [-0.1, 0.0, -0.1], [0.0, 0.0, 0.0], [-0.1, 0.0, 0.0], [0.0, 0.0, 0.1], [0.0, 0.0, 0.0], [0.0, 0.0, 0.0], [0.0, 0.0, 0.0], [0.0, 0.0, 0.0], [0.0, 0.0, 0.0], [0.0, 0.0, 0.0], [0.0, 0.0, 0.0], [0.0, 0.0, 0.0], [0.0, 0.0, 0.0], [0.0, 0.0, 0.0], [-0.1, 0.0, -0.1], [0.0, 0.0, 0.0], [0.0, 0.0, 0.0], [0.0, 0.0, 0.0], [0.0, 0.0, 0.0]],
  "mulliken_spin": [4.15, -0.11, 0.01, 0.04, 0.05, 0.02, 0.01, -0.02, 0.01, 0.00, 0.00, 0.00, 0.00, -0.03, 0.01, 0.00, -0.17, 0.00, 0.01, 0.00, 0.00, 0.00, -0.01, 0.00, 0.00, 0.00, 0.00, 0.00, -0.01, 0.00, 0.00, 0.00, 0.01, 0.00, 0.00, 0.00, 0.00, 0.00, 0.01, 0.00, 0.00, 0.00, 0.00, 0.01],
  "s2": 6.208,
  "charge": -2,
  "spin_multiplicity": 5,
  "homo_ev": [-1.3820, -1.5804],
  "orbital_gap_ev": [5.45, 5.64],
  "energy_ev": -425574.704
}

{
  "formula": "C18H15BrN8O4RuS",
  "method": "wB97M-V/def2-TZVPD",
+++

What is Maintenance? (On the Recovery Curve)


These are two regions in the limbic system. 

What are the basal ganglia and the extended amygdala? 


List the three types of tactics, and a specific tactic within each category example of each. 

Avoidance (lying, being deliberately vague, staying silent to avoid notice, false compliance, playing dumb, selective memory and attention, minimizing)

Diversion (Pointing out the faults of others, magnifying, deliberately trying to confuse, quibbling over words, introducing irrelevant issues, smokescreen issues, self shaming to avoid responsibility)

and Aggression (arguing, using threatening words or behaviors, raging, sarcasm and teasing, splitting staff, creating chaos, attention seeking. 


Definition of a  Co-Occuring Disorder. 

What is having a substance use disorder, and mental health condition at the same time? 


These are three areas the book says that our grief around addiction may center. 

What are 1) Realizing that we cant drink or use other drugs anymore

2)The "death" of our drug and crime related life

3)Fear of Change: not knowing who we'll be without alcohol or other drugs.